2020.12.27 | Elder Kuk-Shing Chow | “誰掌管明天 Who Holds Tomorrow” |
2020.12.20 | Pastor Kelvin Chiu | “作基督的執事 To Be a Humble Servant” |
2020.12.13 | Pastor Kelvin Chiu | “屬靈人 Spiritual man”
Audio Version |
2020.12.06 | Pastor Kelvin Chiu | “認識真智慧 Know the true Wisdom” |
2020.11.29 | Pastor Kelvin Chiu | “我的生命在你手中 My life is in Your hand” |
2020.11.22 | Elder Patrick Leung | Combined Thanksgiving Service |
2020.11.15 | Elder Wei Feng | “主啊,求你鑒察我! Search Me, O God” (詩篇 Psalm 139:23-24) |
2020.11.01 | Pastor Kelvin Chiu | “定睛仰望基督的十字架 Looking Up at the Cross of Christ” |
2020.10.25 | Pastor Kelvin Chiu | “An Extraordinary Church 不同凡響的教會” |
2020.10.18 | Pastor Kelvin Chiu | “Holy Life 聖潔的生活” |
2020.10.11 | Elder Patrick Leung | “萬軍之耶和華啊, 你的居所何等可愛!” |
2020.10.04 | Pastor Kelvin Chiu | “神的國就在你們心裡 Kingdom voting series # 1: The Kingdom of God Is within You” |
2020.09.27 | Pastor Kelvin Chiu | “跟從耶穌 Follow Jesus” |
2020.09.20 | Pastor Kelvin Chiu | “如何面對批評 How to face criticism” |
2020.09.13 | Eugene Chang | “Being Called To Be A Peacemaker” |
2020.09.06 | Pastor Kelvin Chiu | “你要警醒回想 You, Wake Up And Remember” |
2020.08.30 | Pastor Kelvin Chiu | “Faith & Authority 信心與權柄” |
2020.08.23 | Pastor Kelvin Chiu | “四樣小物的智慧 The Wisdom of Four Things” |
2020.08.16 | Pastor Kelvin Chiu | “The Secret of Contentment” |
2020.08.09 | Pastor Kelvin Chiu | “How many times should you forgive? 饒恕他幾次呢?” |
2020.08.02 | Pastor Kelvin Chiu | “尋寶的人 Treasure hunter” |
2020.07.26 | Pastor Kelvin Chiu | “What would Jesus want? 耶穌想要的是什麼?” |
2020.07.19 | Pastor Gershom Lee | “Possessing the True Freedom in Christ 得著基督裡的真自由” |
2020.07.2020 | Pastor Kelvin Chiu | “To Be a Smart Servant 作一個聰明的僕人” |
2020.07.05 | Pastor Kelvin Chiu | “The Parable of the Bags of Gold 按才幹受託付的比喻” |
2020.06.28 | Pastor Andy Ching | “Your Identity? 你有身份?” |
2020.06.21 | Elder Frank Lin | “父神的慈愛 The Love of the Father” |
2020.06.14 | Pastor Kelvin Chiu | “歧視 Discrimination” |
2020.06.07 | Pastor Kelvin Chiu | “Judges 士師: Deborah 底波拉” |
2020.05.31 | Pastor Kelvin Chiu | “日光之下無新事: 虛空 Nothing New under the Sun: Meaningless” |
2020.05.24 | Elder Kuk-Shing Chow | “微小的聲音 A Gentle Whisper” |
2020.05.17 | Pastor Kelvin Chiu | “The Power of the Holy Spirit 得力的秘訣” (Acts 使徒行傳 1:1-26) |
2020.05.10 | Pastor Kelvin Chiu | “Prayers of a Mother 母親的祈禱” |
2020.05.03 | Pastor Kelvin Chiu | “聖潔的教會 Holy Church” |
2020.04.26 | Pastor Gershom Lee | “得勝有餘” |
2020.04.19 | Pastor Mondy Chen | “The Resurrection of Jesus 耶穌復活” |
Inserted here: records of crystals:
____________
[1]
First-principles (PBE+U) data for crystalline Gd2Mo5O18 at its relaxed geometry, as listed in the Materials Project database.

Calculated values
SG: Pbcn (60)

Cell lengths 9.5019, 9.5926, 19.5392 Å; angles 90.00, 90.00, 90.00 degrees
Fractional positions:
Gd1 0.0269 0.2319 0.6149
Gd2 0.9731 0.7681 0.3851
Gd3 0.5269 0.7681 0.6149
Gd4 0.4731 0.7319 0.1149
Gd5 0.5269 0.2681 0.8851
Gd6 0.9731 0.2681 0.1149
Gd7 0.0269 0.7319 0.8851
Gd8 0.4731 0.2319 0.3851
Mo1 0.8235 0.1323 0.3011
Mo2 0.2500 0.9645 0.5000
Mo3 0.6765 0.6323 0.8011
Mo4 0.3235 0.8677 0.3011
Mo5 0.1765 0.8677 0.6989
Mo6 0.2500 0.4645 0.0000
Mo7 0.3235 0.3677 0.1989
Mo8 0.4380 0.3581 0.5898
Mo9 0.7500 0.0355 0.5000
Mo10 0.0620 0.8581 0.0898
Mo11 0.0620 0.3581 0.4102
Mo12 0.7500 0.5355 0.0000
Mo13 0.9380 0.6419 0.5898
Mo14 0.9380 0.1419 0.9102
Mo15 0.5620 0.1419 0.0898
Mo16 0.8235 0.6323 0.1989
Mo17 0.6765 0.1323 0.6989
Mo18 0.5620 0.6419 0.4102
Mo19 0.1765 0.3677 0.8011
Mo20 0.4380 0.8581 0.9102
O1 0.3579 0.3244 0.7952
O2 0.4342 0.7467 0.3568
O3 0.1128 0.0712 0.5330
O4 0.1478 0.5442 0.8241
O5 0.5131 0.6585 0.4965
O6 0.0658 0.2467 0.8568
O7 0.6846 0.6418 0.0698
O8 0.1846 0.3582 0.0698
O9 0.7644 0.7043 0.5987
O10 0.3872 0.5712 0.0330
O11 0.8579 0.1756 0.7048
O12 0.5592 0.9652 0.1162
O13 0.6128 0.9288 0.5330
O14 0.0131 0.3415 0.4965
O15 0.8938 0.6541 0.2812
O16 0.2356 0.7957 0.0987
O17 0.1478 0.0442 0.6759
O18 0.0592 0.5348 0.3838
O19 0.4869 0.8415 0.9965
O20 0.0592 0.0348 0.1162
O21 0.2644 0.7957 0.9013
O22 0.7356 0.2043 0.0987
O23 0.7644 0.2043 0.9013
O24 0.6062 0.6541 0.7188
O25 0.8154 0.6418 0.9302
O26 0.1421 0.8244 0.2952
O27 0.6478 0.9558 0.6759
O28 0.4342 0.2467 0.1432
O29 0.3579 0.8244 0.7048
O30 0.5592 0.4652 0.3838
O31 0.0131 0.8415 0.0035
O32 0.6062 0.1541 0.7812
O33 0.6128 0.4288 0.9670
O34 0.9869 0.1585 0.9965
O35 0.4408 0.5348 0.6162
O36 0.5131 0.1585 0.0035
O37 0.4869 0.3415 0.5035
O38 0.9408 0.9652 0.8838
O39 0.3154 0.3582 0.9302
O40 0.3938 0.8459 0.2188
O41 0.9869 0.6585 0.5035
O42 0.6478 0.4558 0.8241
O43 0.6421 0.1756 0.2952
O44 0.2644 0.2957 0.5987
O45 0.6846 0.1418 0.4302
O46 0.1421 0.3244 0.2048
O47 0.2356 0.2957 0.4013
O48 0.1062 0.3459 0.7188
O49 0.8522 0.4558 0.1759
O50 0.3154 0.8582 0.5698
O51 0.8522 0.9558 0.3241
O52 0.3522 0.5442 0.1759
O53 0.3522 0.0442 0.3241
O54 0.6421 0.6756 0.2048
O55 0.9408 0.4652 0.6162
O56 0.3872 0.0712 0.4670
O57 0.9342 0.2533 0.3568
O58 0.5658 0.7533 0.8568
O59 0.1846 0.8582 0.4302
O60 0.4408 0.0348 0.8838
O61 0.8154 0.1418 0.5698
O62 0.8872 0.4288 0.0330
O63 0.7356 0.7043 0.4013
O64 0.5658 0.2533 0.6432
O65 0.0658 0.7467 0.6432
O66 0.3938 0.3459 0.2812
O67 0.8579 0.6756 0.7952
O68 0.1128 0.5712 0.9670
O69 0.8872 0.9288 0.4670
O70 0.9342 0.7533 0.1432
O71 0.8938 0.1541 0.2188
O72 0.1062 0.8459 0.7812

[2]
First-principles (PBE+U) data for crystalline MgNb4Ni2O12 at its relaxed geometry, as listed in the Materials Project database.

Calculated values
SG: P2 (3)
____________
2020.04.12 | Pastor Kelvin Chiu | Easter Sunday: “若不悔改必滅亡 Repent or Perish” |
2020.04.10 | Pastor Kelvin Chiu | 耶穌受難日聚會 |
2020.04.05 | Pastor Kelvin Chiu | “等與看 Waited Patiently and Wonders What You Have Done” |
2020.03.29 | Frank Lin | “往下扎根,向上結果 Take Root Downward, and Bear Fruit Upward” |
2020.03.22 | Pastor Kelvin Chiu | "Build Our Foundation II 各人的工程 II” |
2020.03.15 | Pastor Kelvin Chiu | “Build Our Foundation 各人的工程” (I Corinthians 哥林多前書 3:10-23) |